Package | rtl270.bpl |
IAsyncResult | An interface that methods use as a return type in order to provide asynchronous execution of code. |
TBitConverter | Converter between arrays of bytes and Delphi native types. |
TMultiWaitEvent | Abstract base class that the System.Classes unit fully implements. IAsyncResult.GetAsyncWaitEvent uses this class as the return type. |
Bounds | Returns the TRect for a rectangle of given dimensions. |
CenteredRect | Creates a centered rectangle. |
CenterPoint | Returns the point in the center of a rectangle. |
EqualRect | Indicates whether two TRect values are the same. |
InflateRect | Enlarges a rectangle by a specific amount. |
IntersectRect | Returns the intersection of two specified rectangles. |
IntersectRectF | Returns the intersection of two rectangles. |
IsRectEmpty | Indicates whether a specified rectangle has a positive width and height. |
MinPoint | Returns the minimum TPoint or TPointF. |
MultiplyRect | Enlarges a rectangle by a specific amount. |
NormalizeRect | Normalizes the TRect object. |
_Data records, as found in the file_
┌──
Diffraction record for MgPd4Au4. The X-ray diffraction stick pattern is computed, not measured: it uses a DFT-relaxed cell (GGA-PBE, Alexandria) and CuKα.

Structural model:
Unit cell a=6.373 b=6.373 c=6.373 alpha=95.96 beta=95.96 gamma=142.41
Fractional coordinates of all 9 atoms:
Mg 0.000 0.000 0.000
Pd 0.000 0.334 0.334
Pd 0.000 0.666 0.666
Pd 0.334 0.000 0.334
Pd 0.666 0.000 0.666
Au 0.333 0.333 0.667
Au 0.333 0.667 0.000
Au 0.667 0.333 0.000
Au 0.667 0.667 0.333

Top 12 peaks for 5 to 70 degrees two-theta, sorted by position:
- 4.266 Å, intensity 10
- 3.700 Å, intensity 14
- 2.698 Å, intensity 7
- 2.338 Å, intensity 100
- 2.133 Å, intensity 2
- 2.053 Å, intensity 23
- 2.011 Å, intensity 32
- 1.850 Å, intensity 2
- 1.634 Å, intensity 3
- 1.576 Å, intensity 4
- 1.437 Å, intensity 22
- 1.422 Å, intensity 10



Diffraction record for Cs2CrAuSe4. The X-ray diffraction stick pattern is computed, not measured: it uses a DFT-relaxed cell (GGA-PBE, Alexandria) and CuKα.

Structural model:
Unit cell a=14.414 b=12.745 c=7.956 alpha=84.92 beta=61.73 gamma=33.35
Fractional coordinates of all 16 atoms:
Cs 0.054 0.054 0.696
Cs 0.304 0.304 0.946
Cs 0.696 0.696 0.054
Cs 0.946 0.946 0.304
Cr 0.375 0.375 0.375
Cr 0.625 0.625 0.625
Au 0.125 0.125 0.125
Au 0.875 0.875 0.875
Se 0.017 0.623 0.548
Se 0.313 0.548 0.623
Se 0.377 0.983 0.687
Se 0.452 0.687 0.983
Se 0.548 0.313 0.017
Se 0.623 0.017 0.313
Se 0.687 0.452 0.377
Se 0.983 0.377 0.452

Top 12 peaks for 5 to 70 degrees two-theta, sorted by position:
- 6.334 Å, intensity 47
- 6.194 Å, intensity 43
- 3.756 Å, intensity 57
- 3.691 Å, intensity 31
- 3.602 Å, intensity 67
- 3.452 Å, intensity 46
- 3.015 Å, intensity 100
- 2.776 Å, intensity 31
- 2.425 Å, intensity 50
- 2.111 Å, intensity 34
- 2.026 Å, intensity 23
- 1.900 Å, intensity 37



Diffraction record for Rb2Sn3Te5. The X-ray diffraction stick pattern is computed, not measured: it uses a DFT-relaxed cell (GGA-PBE, Alexandria) and CuKα.

Structural model:
Unit cell a=8.966 b=8.966 c=12.032 alpha=120.29 beta=120.29 gamma=29.79
Fractional coordinates of all 10 atoms:
Rb 0.175 0.175 0.250
Rb 0.825 0.825 0.750
Sn 0.000 0.000 0.500
Sn 0.436 0.436 0.182
Sn 0.564 0.564 0.818
Te 0.164 0.164 0.799
Te 0.402 0.402 0.566
Te 0.500 0.500 0.000
Te 0.598 0.598 0.434
Te 0.836 0.836 0.201

Top 12 peaks for 5 to 70 degrees two-theta, sorted by position:
- 7.391 Å, intensity 28
- 3.454 Å, intensity 43
- 3.429 Å, intensity 100
- 3.366 Å, intensity 23
- 2.906 Å, intensity 20
- 2.638 Å, intensity 22
- 2.568 Å, intensity 25
- 2.488 Å, intensity 18
- 2.304 Å, intensity 29
- 2.120 Å, intensity 27
- 1.918 Å, intensity 23
- 1.715 Å, intensity 18



Diffraction record for MnFe6B6. The X-ray diffraction stick pattern is computed, not measured: it uses a DFT-relaxed cell (GGA-PBE, Alexandria) and CuKα.

Structural model:
Unit cell a=5.466 b=5.466 c=5.466 alpha=135.35 beta=98.48 gamma=98.12
Fractional coordinates of all 13 atoms:
Mn 0.000 0.000 0.000
Fe 0.179 0.500 0.679
└──
_The data records stop here_
NormalizeRectF | Normalizes the TRectF object. |
OffsetRect | Changes the origin of a rectangle by a specified amount. |
Point | Creates a TPoint structure from a pair of coordinates. |
PointF | Returns an instance of TPointF. |
PtInCircle (deprecated) | Indicates whether a specified point lies inside a specified circle. |
PtInRect | Indicates whether a specified point lies inside a specified rectangle. |
Rect | Creates a TRect structure from a set of coordinates. |
RectCenter | Returns an instance of TRect or TRectF placed in the center of another similar rectangle. |
RectF | Returns an instance of TRectF. |
RectHeight | Returns the vertical size of the rectangle. |
RectWidth | Specifies the horizontal size of the rectangle. |
ScalePoint | Returns an instance of TPoint or TPointF with scaled coordinates. |
SmallPoint | Creates a TSmallPoint structure from a pair of coordinates. |
SplitRect | Returns a rectangle obtained from the current rectangle, applying the specified splitting rule. |
UnionRect | Returns the union of two rectangles. |
UnionRectF | Returns the union of two rectangles. |
DWORD | Integer type with the range [0; 4294967295]. |
OleStr | Represents an alias for WideString. |
PByte | Pointer to Byte. |
PDouble | Pointer to Double. |
PInteger | Pointer to Integer. |
PLongInt | Pointer to LongInt. |
PPoint | PPoint is a pointer to a TPoint variable. |
PPointF | Pointer to a TPointF variable. |
PRect | Pointer to a TRect variable. |
PRectF | Pointer to a TRectF variable. |
PSize | Pointer to tagSIZE. |
PSizeF | Pointer to a TSizeF variable. |
PSmallInt | Pointer to Smallint. |
Someone pasted crystal structures at this point
Starting from a cell relaxed with PBE, the powder diffraction line list of SmYMg4 was simulated for Cu Kα.
Kinematic intensities with the Lorentz-polarization factor, no thermal factor.

Main lines, most intense first (2θ = 5–70°):
| d (Å) | Position (°2θ) | I_rel | h k l |
| --- | --- | --- | --- |
| 2.687 | 33.3 | 100.0 | 1 0 2 |
| 4.543 | 19.5 | 79.2 | 0 1 1 |
| 2.623 | 34.2 | 64.7 | 0 2 0 |
| 1.526 | 60.7 | 34.7 | 1 1 5 |
| 1.877 | 48.5 | 34.4 | 1 2 2 |
| 1.406 | 66.5 | 18.0 | 2 2 0 |
| 2.272 | 39.7 | 12.9 | 0 0 4 |
| 1.514 | 61.2 | 11.6 | 0 3 3 |

Structural model:
Lattice parameters (Å, degrees): 3.3322 5.2427 9.0928 90.00 90.00 90.00
Space group P2/m (No. 10)
Asymmetric unit:
Sm 0.0000 0.0000 0.0000 [1 per cell]
Y 0.0000 0.5000 0.5000 [1 per cell]
Mg 0.4975 0.0000 0.3359 [2 per cell]
Mg 0.4976 0.5000 0.8307 [2 per cell]

=====

# Mg3MnPt12
Computed XRD peak list, CuKα. Input: a cell relaxed with PBE.
Intensities are scaled so that the largest is 100.

Top 10 peaks for 10° ≤ 2θ ≤ 90°, in order of rising 2θ:
2θ = 22.50°, 3.951 Å, I 21.1, (1 0 0)
2θ = 32.03°, 2.794 Å, I 17.7, (1 1 0)
2θ = 39.50°, 2.281 Å, I 100.0, (1 1 4)
2θ = 45.84°, 1.979 Å, I 16.4, (0 0 8)
2θ = 45.98°, 1.974 Å, I 32.7, (2 0 0)
2θ = 66.95°, 1.398 Å, I 21.4, (2 0 8)
2θ = 67.06°, 1.396 Å, I 10.7, (2 2 0)
2θ = 80.51°, 1.193 Å, I 12.8, (1 1 12)
2θ = 80.71°, 1.191 Å, I 25.7, (3 1 4)
2θ = 85.04°, 1.141 Å, I 11.4, (2 2 8)

Crystal structure
abc: 3.9477 3.9477 15.8351
angles: 90.00 90.00 90.00
Space group P4/mmm (No. 123)
Symmetry-distinct sites (fractional):
Mg 0.0000 0.0000 0.0000
Mg 0.0000 0.0000 0.2506
Mn 0.0000 0.0000 0.5000
Pt 0.0000 0.5000 0.1255
Pt 0.0000 0.5000 0.3772
Pt 0.5000 0.5000 0.0000
Pt 0.5000 0.5000 0.2513
Pt 0.5000 0.5000 0.5000

---

# RbMgMnTe3
Computed XRD peak list, CuKα. Input: a cell relaxed with PBE.
Intensities are scaled so that the largest is 100.

Top 10 peaks for 10° ≤ 2θ ≤ 90°, in order of rising 2θ:
2θ = 10.86°, 8.147 Å, I 34.6, (1 0 0)
2θ = 22.08°, 4.026 Å, I 32.7, (0 0 3)
2θ = 25.95°, 3.434 Å, I 100.0, (1 1 1)
2θ = 26.22°, 3.399 Å, I 53.6, (2 0 -3)
2θ = 27.41°, 3.253 Å, I 37.4, (1 0 3)
2θ = 29.97°, 2.981 Å, I 60.1, (2 1 -1)
2θ = 31.14°, 2.872 Å, I 25.8, (2 1 -2)
2θ = 38.71°, 2.326 Å, I 34.1, (3 1 -2)
2θ = 43.27°, 2.091 Å, I 36.3, (0 2 0)
2θ = 43.38°, 2.086 Å, I 22.3, (2 1 -5)

Crystal structure
abc: 8.5135 4.1820 12.6214
angles: 90.00 106.88 90.00
Space group P2_1/m (No. 11)
Symmetry-distinct sites (fractional):
Rb 0.0121 0.2500 0.3033
Mg 0.4977 0.7500 0.3919
Mn 0.4610 0.2500 0.1169
Te 0.2843 0.7500 0.5317
Te 0.2892 0.7500 0.1717
Te 0.3272 0.2500 0.8854

---

# MgMnRe2
Computed XRD peak list, CuKα. Input: a cell relaxed with PBE.
Intensities are scaled so that the largest is 100.

Top 8 peaks for 10° ≤ 2θ ≤ 90°, in order of rising 2θ:
2θ = 25.20°, 3.533 Å, I 50.5, (1 1 1)
2θ = 29.18°, 3.060 Å, I 0.6, (2 0 0)
2θ = 41.74°, 2.164 Å, I 100.0, (2 2 0)
2θ = 49.39°, 1.845 Å, I 25.9, (3 1 1)
2θ = 60.51°, 1.530 Å, I 16.6, (4 0 0)
PSmallPoint | Pointer to TSmallPoint. |
SIZE | Represents an alias to a record holding width and height values. |
tagPOINT | Represents an alias for TPoint. |
tagPointF | Represents an alias for TPointF. |
tagSize | tagSize is a record holding width and height values. |
TDirection | Indicates the direction of list broswing. |
TDuplicates | Indicates the response when an application attempts to add a duplicate entry to a list. |
TEndian | Defines a type of endian. |
THorzRectAlign | Specifies the horizontal alignment of a rectangle. |
TPoint | Defines a pixel location on-screen. |
TPointF | Defines a pixel location on-screen. |
TPointFType | |
TRect | TRect defines a rectangle. |
TRectF | TRectF defines a rectangle, with coordinates in floating points. |
TSize | Specifies the width and height of an object. |
TSizeF | Represents the floating-point width and height of an object. |
TSmallPoint | TSmallPoint type defines a point with two 16-bit coordinates. |
TSplitRectType | TSplitRectType specifies which rectangle side is used when splitting a rectangle. |
TValueRelationship | TValueRelationship defines value comparison results. |
TVertRectAlign | Specifies the vertical alignment of a rectangle. |
TWaitResult |
c180 | |
c180divPI | |
c2PI | |
c360 | |
c3PIdiv4 | |
cInv2PI | |
cInv360 | |
cOneHalf | |
cPI | |
cPIdiv180 | |
cPIdiv2 | |
cPIdiv4 | |
CurveKappa | |
CurveKappaInv | |
Epsilon | |
Epsilon2 |
CarriageReturn | CarriageReturn: Char = $D; |
EqualsValue | EqualsValue: Integer = 0; |
FormFeed | FormFeed: Char = $C; |
GreaterThanValue | GreaterThanValue: Integer = 1; |
LessThanValue | LessThanValue: Integer = $FFFFFFFF; |
LineFeed | LineFeed: Char = $A; |
LineSeparator | LineSeparator: Char = $2028; |
NullChar | NullChar: Char = 0; |
ParagraphSeparator | ParagraphSeparator: Char = $2029; |
PlatformEndian | PlatformEndian: TEndian = Little; |
RT_RCDATA | RT_RCDATA: PWideChar = $A; |
Space | Space: Char = $20; |
Tabulator | Tabulator: Char = 9; |
VerticalTab | VerticalTab: Char = $B; |